Brief.
Retype only the lines below with the word "gamma" in them.
Input.
____________
A plane-wave DFT calculation with PBE was carried out for a relaxed NaSeBr2Cl crystal.

Unit cell a=5.431 b=5.431 c=6.068 alpha=90.00 beta=90.00 gamma=90.00
Element x y z (fractional)
1 Na 0.000 0.000 0.000
2 Se 0.000 0.000 0.500
3 Br 0.000 0.500 0.000
4 Br 0.500 0.000 0.000
5 Cl 0.500 0.500 0.500

Crystal system: tetragonal
Uncorrected formation energy: 0.223 eV/atom
Excess energy over the best structure of this formula in the dataset: 71.9 kJ per mole of atoms
Space group: P4/mmm (123)

* * * * *

# 1
TmSi2Tc: relaxed, PBE.

Summary:
space group = R-3m, No. 166
raw formation energy = 1.079 eV per atom
polymorph energy (0 for the lowest one) = 1.758 eV per atom
energy = -5.342 eV per atom
size of the total moment = 2.71 μB per formula unit

```
TmSi2Tc
1.0
4.601 0.000 0.000
2.301 3.985 0.000
2.301 1.328 6.163
Tm Si Tc
1 2 1
Cartesian
4.601 2.657 3.082
6.902 3.985 2.326
2.301 1.328 3.837
0.000 0.000 0.000
```

# 2
TmSi3Tc3: relaxed, PBE.

Summary:
space group = Pm-3n, No. 223
raw formation energy = 0.217 eV per atom
energy = -7.189 eV per atom
size of the total moment = 2.32 μB per formula unit

```
TmSi3Tc3
1.0
-5.096 -0.654 -4.064
3.969 -2.496 -4.575
-1.092 -6.022 2.338
Tm Tc Si
2 6 6
Cartesian
0.000 0.000 0.000
-1.109 -4.586 -3.151
1.166 -5.764 -0.534
-1.556 -0.951 -3.176
-4.368 -3.501 -1.879
1.712 -2.753 -1.703
-1.820 -3.174 0.153
0.429 -2.199 -5.464
-3.367 -4.843 -0.279
-1.838 -1.739 -5.336
0.711 -1.412 -3.304
0.446 -3.635 0.025
2.431 -4.883 -2.262
-2.821 -1.832 -1.448
```

# 3
Tm2SiTc: relaxed, PBE.

Summary:
space group = R-3m, No. 166
raw formation energy = 0.415 eV per atom
polymorph energy (0 for the lowest one) = 0.664 eV per atom
energy = -5.768 eV per atom
size of the total moment = 0.39 μB per formula unit

```
Tm2SiTc
1.0
-2.213 -1.027 2.038
0.412 -2.751 1.540
3.839 3.425 8.374
Si Tc Tm
1 1 2
Cartesian
1.019 -0.177 5.976
0.000 0.000 0.000
2.635 2.155 6.427
-0.598 -2.509 5.525
```
____________
Response.
Unit cell a=5.431 b=5.431 c=6.068 alpha=90.00 beta=90.00 gamma=90.00